Iran’s Campaign Abroad to Conceal Cracks in the System at Home

June 2, 2015 | by Melissa Aten
At a time when the Iranian government’s control over its own population is increasingly showing signs of wear, its international diplomatic and economic efforts to reshape global norms and institutions continue to gather steam. The key elements of Iran’s domestic and international policy are taken up in articles authored by Abbas Milani and Alex Vatanka in the April 2015 issue of the Journal of Democracy.
In “Iran’s Paradoxical Regime,” Milani points out that the founding of the Islamic Republic of Iran constituted a fundamental paradox. While Ayatollah Ruhollah Khomeini, revolutionary leader and hero, did not believe in the Western ideals of popular sovereignty, he called on the masses to overthrow Mohammad Reza Shah Pahlavi, which they accomplished in 1979. These masses—many with democratic leanings—who fought for and achieved a new political system did not disappear after the establishment of the Islamic Republic of Iran; the country’s authoritarian leaders have been forced to deal with them ever since.
Iranian leaders, Milani explains, have an elaborate set of tools at their disposal to maintain control over Iran’s population. The Ayatollah has a hand in virtually every aspect of the country’s political and civic life: the supreme leader can issue laws at will, appoints the head of the judiciary, controls the country’s radio and television outlets, and chooses all Friday Prayer leaders while setting the agenda for their weekly sermons. He also selects members of powerful political bodies such as the Supreme Council of the Cultural Revolution and the Guardian Council, and inserts his representatives into every institution, including all branches of the armed forces.
Despite this impressive effort to dominate society, cracks in the system are starting to emerge. This is perhaps most notable in the realms of social media and the arts. In a country where the Internet is heavily censored and where the regime employs thousands of “cyber-jihadists” (trolling tactics also used by Russia and China), widespread access to and usage of the Internet, Facebook, and Instagram persist, despite the fact that these forms of social media are officially banned in the country. Indeed, even Ayatollah Ali Khamenei and President Hassan Rouhani have active Facebook and Instagram accounts. Iranian artists are ignoring the country’s strict censorship rules and making films (and sometimes winning international awards) that have not been officially vetted by the authorities. Banned books are published by underground printing networks or online, and women are becoming increasingly visible in public life. As Milani eloquently puts it: “While the specter of Procrustean cultural control is never far from the horizon in Iran, defiant resistance through the sophisticated use of metaphors in every discursive form manages to persevere.”
While the authorities have been struggling to maintain absolute control at home, they also aggressively promote an authoritarian agenda on the international stage. In his article “Iran Abroad,” Alex Vatanka examines the familiar methods the country’s leaders employ to contain democracy at home and abroad.
Like China, Russia, and other authoritarian governments, Iran willingly participates in international organizations such as the UN, even though this participation leaves the country open to criticism about its compliance with international human rights conventions. As Vatanka notes, Iran uses “membership in such bodies to form alliances with like-minded nations in order to shape the global agenda” and relies on the support of its authoritarian allies to soften the fallout from its human rights abuses. Vatanka uses the example of the March 2014 UN Human Rights Council vote to renew its mandate to investigate Iran’s human rights record. Twenty-one countries supported the measure while nine rejected it; among the nine were a number of the world’s authoritarian stalwarts, including China, Russia, Venezuela, and Cuba. Despite this vote, Vatanka writes, the Iranian government continued to ban the UN Special Rapporteur from visiting the country.
In this spirit of authoritarian cooperation, Iran has actively sought to join the Shanghai Cooperation Organization (SCO), a six-member bloc led by China and Russia that acts as a counterweight to Western-led, democratically-oriented institutions. The Iranian authorities cooperate with SCO members, for example, to develop and utilize technology to censor and manage the Internet. In 2010, after the EU imposed restrictions on the sale of communications equipment to the country, Iran purchased a “powerful surveillance system capable of monitoring landline, mobile, and internet communications” as part of a multi-million dollar contract with a Chinese company. The Green Revolution in 2009 and the continuing unrest after the 2011 Arab Uprisings in the Middle East has made the Iranian government eager to use this technology, prompting the regime to explore the creation of a closed national Internet similar to those that already exist in Burma, Cuba, and North Korea.
Misplaced data records:
=====
w) AsPdPt3: optimized geometry, PBE.

Density (g/cm3): 15.81

```
AsPdPt3
1.0
3.894 0.000 0.000
-0.014 5.734 0.000
-1.925 -0.194 7.212
As Pd Pt
2 2 6
direct
0.127 0.366 0.255
0.873 0.634 0.745
0.094 0.928 0.187
0.906 0.072 0.813
0.286 0.852 0.574
0.330 0.363 0.659
0.481 0.742 0.959
0.519 0.258 0.041
0.670 0.637 0.341
0.714 0.148 0.426
```

x) AsPdPt3: optimized geometry, PBE.

Density (g/cm3): 11.38

```
AsPdPt3
1.0
4.819 0.000 0.000
0.000 4.819 0.000
0.000 0.000 4.819
As Pd Pt
1 1 3
direct
0.000 0.000 0.000
0.500 0.500 0.500
0.000 0.500 0.500
0.500 0.000 0.500
0.500 0.500 0.000
```

y) AsPdPt3: optimized geometry, PBE.

Density (g/cm3): 12.83

```
AsPdPt3
1.0
4.629 0.000 0.000
0.000 4.629 0.000
0.000 0.000 4.629
As Pd Pt
1 1 3
direct
0.000 0.000 0.000
0.500 0.500 0.500
0.000 0.000 0.500
0.000 0.500 0.000
0.500 0.000 0.000
```

Most stable: w) (next structure +698 meV per atom)

w) AsPd3Pt: optimized geometry, PBE.

Density (g/cm3): 11.97

```
AsPd3Pt
1.0
1.463 -5.794 0.000
1.463 5.794 0.000
0.000 0.000 9.642
As Pd Pt
2 6 2
direct
0.000 0.000 0.000
0.000 0.000 0.500
0.015 0.985 0.750
0.334 0.666 0.070
0.334 0.666 0.430
0.666 0.334 0.570
0.666 0.334 0.930
0.985 0.015 0.250
0.309 0.691 0.750
0.691 0.309 0.250
```

x) AsPd3Pt: optimized geometry, PBE.

Density (g/cm3): 8.53

```
AsPd3Pt
1.0
4.860 0.000 0.000
0.000 4.860 0.000
0.000 0.000 4.860
As Pd Pt
1 3 1
direct
0.000 0.000 0.000
0.000 0.500 0.500
0.500 0.000 0.500
0.500 0.500 0.000
0.500 0.500 0.500
```

y) AsPd3Pt: optimized geometry, PBE.

Density (g/cm3): 11.66

```
AsPd3Pt
1.0
5.074 -1.988 0.000
5.074 1.988 0.000
-0.472 0.000 8.320
As Pd Pt
2 6 2
direct
0.232 0.232 0.166
0.768 0.768 0.834
0.117 0.117 0.881
0.390 0.390 0.391
0.414 0.414 0.857
0.586 0.586 0.143
0.610 0.610 0.609
0.883 0.883 0.119
0.095 0.095 0.391
0.905 0.905 0.609
```

z) AsPd3Pt: optimized geometry, PBE.

Density (g/cm3): 10.16

```
AsPd3Pt
1.0
4.583 0.000 0.000
0.000 4.583 0.000
0.000 0.000 4.583
As Pd Pt
1 3 1
direct
0.000 0.000 0.000
0.000 0.000 0.500
0.000 0.500 0.000
0.500 0.000 0.000
0.500 0.500 0.500
```

Most stable: y) (next structure +67 meV per atom)

w) YAsPd2Pt: optimized geometry, PBE.

Density (g/cm3): 9.10

```
YAsPd2Pt
1.0
4.695 0.000 0.000
0.000 4.695 0.000
0.000 0.000 4.731
Y As Pd Pt
1 1 2 1
direct
0.000 0.000 0.000
0.500 0.500 0.500
0.000 0.500 0.500
0.500 0.000 0.500
0.500 0.500 0.000
```

x) YAsPd2Pt: optimized geometry, PBE.

Density (g/cm3): 8.21

```
YAsPd2Pt
1.0
5.070 0.000 0.000
0.000 5.070 0.000
0.000 0.000 4.500
Y As Pd Pt
1 1 2 1
direct
0.000 0.000 0.000
0.500 0.500 0.000
0.000 0.500 0.500
0.500 0.000 0.500
0.500 0.500 0.500
```

Most stable: w) (next structure +439 meV per atom)

w) Pu2AsPd: optimized geometry, PBE.

Density (g/cm3): 11.06

```
Pu2AsPd
1.0
2.018 1.165 7.128
-2.018 1.165 7.128
0.000 -2.330 7.128
Pu As Pd
2 1 1
direct
0.249 0.249 0.249
0.751 0.751 0.751
0.500 0.500 0.500
0.000 0.000 0.000
```

x) Pu2AsPd: optimized geometry, PBE.

Density (g/cm3): 12.99

```
Pu2AsPd
1.0
=====
Vatanka also explores how Iran uses international broadcasting and media manipulation to spread its anti-democratic vision. Following the lead of China’s CCTV and Russia’s RT, Iran in 2007 established Press TV, an English-language, 24-hour news service to “defend Iran’s policies and those of its allies, while criticizing Western policies.” To stretch its reach further, in 2012 it launched HispanTV in an attempt to influence the Spanish-speaking world. Despite the financial and diplomatic costs associated with these outlets, the Iranian regime has clearly decided, Vatanka asserts, that they are well worth the investment.
# Unrelated to this piece: records of crystals
~~~
Below is crystalline CaMnNF2 at its relaxed geometry, with properties calculated at the PBE with a Hubbard U level.

abc: 4.067 4.067 3.988
angles: 90.00 90.00 90.00
Element x y z (fractional)
Ca1 0.000 0.000 0.000
Mn1 0.500 0.500 0.500
N1 0.500 0.500 0.000
F1 0.000 0.500 0.500
F2 0.500 0.000 0.500

Symmetry   P4/mmm (123)
Energy   -6.03 eV per atom
Distance to the lowest polymorph of the same formula   0.0000 eV/atom
Mass density   3700 kg/m³

=====

DFT (GGA-PBE) results for an optimized crystal structure of CdBSe2.

Lattice parameters (Å, degrees): 9.190 9.190 9.190 19.88 19.88 19.88
Positions (direct):
B1 0.500 0.500 0.500
Se1 0.882 0.882 0.882
Se2 0.118 0.118 0.118
Cd1 0.000 0.000 0.000

Total energy ... -3.30 eV per atom
Energy relative to the lowest polymorph listed for this composition ... 0.2659 eV per atom
Space-group type ... R-3m, No. 166
Total magnetic moment ... 0.000 Bohr magnetons per cell
~~~
# End of the records of crystals
Where does Iran go from here? Vatanka argues that the Iranian regime and its authoritarian allies have formed a “common bond” to subvert democratic norms, share technology to suppress free speech online, and use international media to promote their illiberal values—a bond that will likely strengthen as cooperation continues and increases. Milani argues, however, that the “gradual, corrosive, and inexorable power and persistence” of defiance by the Iranian people will “inevitably break the clerics’ authoritarian grip.” These powerful and in ways contradictory forces will determine Iran’s fate.
Photo Credit: President of the European Council/Flickr